Could you set down the whole of the listing below with every line break kept?

For DyBeAlCu6, a structure optimized by DFT (PBE) gives the computed PXRD pattern in this record (λ = 1.5418 Å (Cu Kα)).
No peak broadening, texture or thermal motion is included.

Largest 12 diffraction maxima, low angle first, 5° ≤ 2θ ≤ 70°:
d/Å	2θ (°)	I/Imax	h k l
3.863	23.02	23	0 1 3
3.374	26.42	25	1 0 3
3.333	26.74	32	0 2 2
3.001	29.77	25	1 2 1
2.535	35.41	58	1 2 3
2.526	35.55	53	0 2 4
2.402	37.44	26	2 0 2
2.234	40.37	20	0 0 6
2.138	42.27	100	2 2 0
2.041	44.39	36	2 0 4
2.022	44.83	32	1 2 5
1.921	47.31	38	0 4 0

Structure:
```
data_DyBeAlCu6
_chemical_formula_sum 'Dy4 Be4 Al4 Cu24'
_space_group_name_H-M_alt 'I m m a'
_space_group_IT_number 74
_space_group_name_Hall '-I 2b 2'
_cell_length_a 5.145
_cell_length_b 7.685
_cell_length_c 13.405
_cell_angle_alpha 90.00
_cell_angle_beta 90.00
_cell_angle_gamma 90.00
loop_
_atom_site_label
_atom_site_fract_x
_atom_site_fract_y
_atom_site_fract_z
Dy1 0.000 0.250 0.002
Be1 0.250 0.250 0.250
Al1 0.000 0.000 0.500
Cu1 0.000 0.250 0.387
Cu2 0.000 0.250 0.752
Cu3 0.241 0.011 0.842
```

For DyBeAlCu6, a structure optimized by DFT (PBE) gives the computed PXRD pattern in this record (λ = 1.5418 Å (Cu Kα)).
No peak broadening, texture or thermal motion is included.

Largest 12 diffraction maxima, low angle first, 5° ≤ 2θ ≤ 70°:
d/Å	2θ (°)	I/Imax	h k l
3.863	23.02	23	0 1 3
3.374	26.42	25	1 0 3
3.333	26.74	32	0 2 2
3.001	29.77	25	1 2 1
2.535	35.41	58	1 2 3
2.526	35.55	53	0 2 4
2.402	37.44	26	2 0 2
2.234	40.37	20	0 0 6
2.138	42.27	100	2 2 0
2.041	44.39	36	2 0 4
2.022	44.83	32	1 2 5
1.921	47.31	38	0 4 0

Structure:
```
data_DyBeAlCu6
_chemical_formula_sum 'Dy4 Be4 Al4 Cu24'
_space_group_name_H-M_alt 'I m m a'
_space_group_IT_number 74
_space_group_name_Hall '-I 2b 2'
_cell_length_a 5.145
_cell_length_b 7.685
_cell_length_c 13.405
_cell_angle_alpha 90.00
_cell_angle_beta 90.00
_cell_angle_gamma 90.00
loop_
_atom_site_label
_atom_site_fract_x
_atom_site_fract_y
_atom_site_fract_z
Dy1 0.000 0.250 0.002
Be1 0.250 0.250 0.250
Al1 0.000 0.000 0.500
Cu1 0.000 0.250 0.387
Cu2 0.000 0.250 0.752
Cu3 0.241 0.011 0.842
```